### What to do
Please print the whole of the lines further down without additions.

### Input
Entry 1:
{"formula": "CHOPS", "method": "the ωB97M-V functional and the def2-TZVPD basis", "symbols": ["C", "O", "P", "S", "H"], "positions_angstrom": [[1.01128, 0.47163, 0.01676], [1.11947, 1.61410, -0.34619], [1.17690, -2.36178, -0.75505], [-0.65061, -2.59781, -0.10309], [0.62350, 0.07873, 0.87483]], "relative_energy_kcal_mol": 48.3, "homo_lumo_gap_ev": [6.8, 6.0], "energy_ha": -853.368808, "e_lumo_ev": [-1.57, -1.81]}

Entry 2:
{"formula": "C3H8BrN2", "method": "the ωB97M-V functional and the def2-TZVPD basis", "symbols": ["C", "C", "C", "N", "N", "Br", "H", "H", "H", "H", "H", "H", "H", "H"], "positions_angstrom": [[0.34468, -0.89819, 0.80536], [0.78850, 0.58304, 0.51309], [-1.09194, -0.09992, -0.81421], [-0.29003, -1.20431, -0.45873], [-0.34596, 1.05766, -0.35335], [-2.91611, -0.01254, 0.10301], [1.28524, -1.54612, 1.12893], [-0.36036, -1.00064, 1.66313], [0.77277, 1.23327, 1.48779], [1.68045, 0.57061, 0.00225], [-1.34588, 0.04056, -2.23935], [-0.61444, -2.21640, -0.60240], [-0.96139, 1.88812, 0.07115], [0.31093, 1.42173, -1.04583]], "total_charge": 1, "relative_energy_kcal_mol": 70.6, "homo_lumo_gap_ev": 10.1, "energy_ha": -2802.291994, "e_lumo_ev": -3.88}

Entry 3:
{"formula": "C5H4O2", "method": "the ωB97M-V functional and the def2-TZVPD basis", "symbols": ["O", "C", "O", "C", "C", "C", "C", "H", "H", "H", "H"], "positions_angstrom": [[2.23411, -1.50163, 0.80071], [1.74065, -0.57127, 0.31042], [-0.75057, -1.80779, 0.74000], [-1.26049, -1.02877, -0.03371], [-1.19878, 0.44828, 0.10771], [-0.04936, 1.11598, -0.03591], [1.27613, 0.53160, -0.26011], [-1.76411, -1.40279, -0.94847], [-2.13502, 0.97975, 0.26379], [-0.07493, 2.20439, -0.02916], [1.98236, 1.03225, -0.91529]], "relative_energy_kcal_mol": 35.7, "smiles": "O=C=C/C=C\\C=O", "homo_lumo_gap_ev": 9.4, "energy_ha": -343.335444, "e_lumo_ev": 0.60}

Entry 4:

### Result
Entry 1:
{"formula": "CHOPS", "method": "the ωB97M-V functional and the def2-TZVPD basis", "symbols": ["C", "O", "P", "S", "H"], "positions_angstrom": [[1.01128, 0.47163, 0.01676], [1.11947, 1.61410, -0.34619], [1.17690, -2.36178, -0.75505], [-0.65061, -2.59781, -0.10309], [0.62350, 0.07873, 0.87483]], "relative_energy_kcal_mol": 48.3, "homo_lumo_gap_ev": [6.8, 6.0], "energy_ha": -853.368808, "e_lumo_ev": [-1.57, -1.81]}

Entry 2:
{"formula": "C3H8BrN2", "method": "the ωB97M-V functional and the def2-TZVPD basis", "symbols": ["C", "C", "C", "N", "N", "Br", "H", "H", "H", "H", "H", "H", "H", "H"], "positions_angstrom": [[0.34468, -0.89819, 0.80536], [0.78850, 0.58304, 0.51309], [-1.09194, -0.09992, -0.81421], [-0.29003, -1.20431, -0.45873], [-0.34596, 1.05766, -0.35335], [-2.91611, -0.01254, 0.10301], [1.28524, -1.54612, 1.12893], [-0.36036, -1.00064, 1.66313], [0.77277, 1.23327, 1.48779], [1.68045, 0.57061, 0.00225], [-1.34588, 0.04056, -2.23935], [-0.61444, -2.21640, -0.60240], [-0.96139, 1.88812, 0.07115], [0.31093, 1.42173, -1.04583]], "total_charge": 1, "relative_energy_kcal_mol": 70.6, "homo_lumo_gap_ev": 10.1, "energy_ha": -2802.291994, "e_lumo_ev": -3.88}

Entry 3:
{"formula": "C5H4O2", "method": "the ωB97M-V functional and the def2-TZVPD basis", "symbols": ["O", "C", "O", "C", "C", "C", "C", "H", "H", "H", "H"], "positions_angstrom": [[2.23411, -1.50163, 0.80071], [1.74065, -0.57127, 0.31042], [-0.75057, -1.80779, 0.74000], [-1.26049, -1.02877, -0.03371], [-1.19878, 0.44828, 0.10771], [-0.04936, 1.11598, -0.03591], [1.27613, 0.53160, -0.26011], [-1.76411, -1.40279, -0.94847], [-2.13502, 0.97975, 0.26379], [-0.07493, 2.20439, -0.02916], [1.98236, 1.03225, -0.91529]], "relative_energy_kcal_mol": 35.7, "smiles": "O=C=C/C=C\\C=O", "homo_lumo_gap_ev": 9.4, "energy_ha": -343.335444, "e_lumo_ev": 0.60}

Entry 4: